Using PRINCE2 to project manage Localisation & translation projects

Why I believe PRINCE2 is a good project management methodology to use on Localisation & translation projects
CePmCr2O8: theoretical powder diffraction line list (Cu Ka), based on a PBE+U-relaxed structure.
Peak positions follow from Bragg's law for the DFT cell and can differ from measured ones.

Atomic structure:
```
CePmCr2O8
1.0
-2.571 2.571 5.778
2.571 -2.571 5.778
2.571 2.571 -5.778
Ce Pm Cr O
1 1 2 8
Direct
0.000 0.000 0.000
0.750 0.250 0.500
0.250 0.750 0.500
0.500 0.500 0.000
0.026 0.922 0.604
0.078 0.682 0.104
0.160 0.265 0.579
0.318 0.422 0.396
0.419 0.840 0.105
0.578 0.974 0.896
0.686 0.581 0.421
0.735 0.314 0.895
```

Peak list (6 most intense, 2θ from 10° to 90°, sorted by position)
| 2theta | I_rel |
| --- | --- |
| 18.9 | 22 |
| 29.0 | 100 |
| 34.9 | 17 |
| 47.3 | 28 |
| 53.9 | 16 |
| 59.0 | 28 |

~~~~~

SrEuGa4: simulated powder diffractogram (Cu Kα (λ = 1.5418 Å)), based on a PBE-relaxed structure.

The 12 most intense peaks (2θ from 10° to 90°), by angle:
- hkl 1 1 1, 2θ = 18.89°, 4.699 Å, intensity 4
- hkl 2 0 0, 2θ = 21.84°, 4.069 Å, intensity 3
- hkl 2 2 0, 2θ = 31.08°, 2.877 Å, intensity 44
- hkl 3 1 1, 2θ = 36.62°, 2.454 Å, intensity 100
- hkl 2 2 2, 2θ = 38.31°, 2.349 Å, intensity 26
- hkl 4 2 0, 2θ = 50.13°, 1.820 Å, intensity 2
- hkl 4 2 2, 2θ = 55.30°, 1.661 Å, intensity 17
- hkl 3 3 3, 2θ = 58.97°, 1.566 Å, intensity 33
- hkl 4 4 0, 2θ = 64.81°, 1.439 Å, intensity 25
- hkl 6 2 0, 2θ = 73.61°, 1.287 Å, intensity 7
- hkl 5 3 3, 2θ = 76.81°, 1.241 Å, intensity 11
- hkl 6 2 2, 2θ = 77.86°, 1.227 Å, intensity 9

Structural model:
```
data_SrEuGa4
_chemical_formula_sum 'Sr4 Eu4 Ga16'
_space_group_name_H-M_alt 'F -4 3 m'
_space_group_IT_number 216
_space_group_name_Hall 'F -4 2 3'
_cell_length_a 8.1381
_cell_length_b 8.1381
_cell_length_c 8.1381
_cell_angle_alpha 90.00
_cell_angle_beta 90.00
_cell_angle_gamma 90.00
loop_
_atom_site_label
_atom_site_type_symbol
_atom_site_fract_x
_atom_site_fract_y
_atom_site_fract_z
Sr1 Sr 0.0000 0.0000 0.0000
Eu1 Eu 0.2500 0.2500 0.7500
Ga1 Ga 0.1246 0.1246 0.3754
```

~~~~~

Record 1
Theoretical PXRD pattern
Compound: Si3HgI12
Radiation: Cu Ka
Structure: DFT lattice parameters and positions (GGA-PBE)

Structure:
a = 13.4607 Å, b = 13.4607 Å, c = 38.4237 Å
α = 90.00°, β = 90.00°, γ = 120.00°
Space group R3c (No. 161, hexagonal axes)
One atom of each set of equivalent atoms:
Si: 0.0072 0.3481 0.0000
Hg: 0.0000 0.0000 0.2689
I: 0.0944 0.3513 0.2753
I: 0.1569 0.3785 0.3778
I: 0.1904 0.3988 0.5085
I: 0.1945 0.4101 0.6717

Main lines, low angle first (15° ≤ 2θ ≤ 90°):
- 2θ 22.89, intensity 67, (3 0 0)
- 2θ 24.01, intensity 50, (2 0 8)
- 2θ 26.49, intensity 52, (2 2 0)
- 2θ 26.84, intensity 100, (3 0 6)
- 2θ 27.47, intensity 46, (1 2 8)
- 2θ 27.69, intensity 32, (1 3 1)
- 2θ 27.82, intensity 64, (0 0 12)
- 2θ 50.96, intensity 46, (5 2 6)

Record 2
Theoretical PXRD pattern
Compound: AcSm2S4
Radiation: Cu Ka
Structure: DFT lattice parameters and positions (GGA-PBE)

Structure:
a = 4.048 Å, b = 13.319 Å, c = 13.567 Å
α = 90.00°, β = 90.00°, γ = 90.00°
Space group Cmcm (No. 63)
The records of crystals stop here:
In my experience not many translation agencies use PRINCE2 to manage their translation projects, with other methods such as a waterfall approach or agile (...or no method at all) being more typical. However when applied correctly PRINCE2 can really help guide translation production projects and enable the delivery of quality work under tight constraints (time, budget etc).
Here are 4 reasons why I find PRINCE2 methodology a useful tool for managing translation projects:
1. Product lead planning
• The page is interrupted by data records:
Calculated X-ray diffraction stick pattern of Tl6InPb2 for λ = 1.5418 Å (Cu Kα), from a crystal structure in Alexandria, relaxed with GGA-PBE.
Peak positions follow from Bragg's law for the DFT cell and can differ from measured ones.

Top 10 peaks for 10° ≤ 2θ ≤ 90°, sorted by position:
| d/Å | Rel. int. |
| --- | --- |
| 3.136 | 44 |
| 2.931 | 20 |
| 2.797 | 46 |
| 2.749 | 34 |
| 2.649 | 100 |
| 2.067 | 23 |
| 1.811 | 37 |
| 1.540 | 32 |
| 1.512 | 35 |
| 1.495 | 18 |

Cell: 3.6213 3.6213 24.7399 Å, 90.00 90.00 120.00°
Space group P-6m2 (No. 187)
Symmetry-distinct sites (fractional):
Tl  0.0000  0.0000  0.0648
Tl  0.0000  0.0000  0.2846
Tl  0.3333  0.6667  0.3963
In  0.0000  0.0000  0.5000
Pb  0.3333  0.6667  0.1740


Record 1
# PrSm7Ho2
Calculated PXRD pattern, CuKα. Input: a structure optimized by DFT (GGA-PBE).
Lines closer than 0.1° are merged.

Principal peaks in the range 2θ = 15–90°, low angle first:
two_theta	I_rel
30.3	100
35.1	51
50.4	12
50.5	24
60.0	25
60.1	18
62.9	6
63.0	6
82.2	9
82.2	6
84.8	7
84.9	5

```
PrSm7Ho2
1.0
6.262 0.000 0.000
2.067 6.922 0.000
2.094 1.255 7.708
Pr Sm Ho
1 7 2
Direct
0.000 0.000 0.000 Pr
0.000 0.500 0.000 Sm
0.200 0.301 0.599 Sm
0.400 0.100 0.202 Sm
0.402 0.599 0.202 Sm
0.598 0.401 0.798 Sm
0.600 0.900 0.798 Sm
0.800 0.699 0.401 Sm
0.199 0.801 0.599 Ho
0.801 0.199 0.401 Ho
```

***

Record 2
# SmSn12Rh4
Calculated PXRD pattern, CuKα. Input: a structure optimized by DFT (GGA-PBE).
Lines closer than 0.1° are merged.

Principal peaks in the range 2θ = 15–90°, low angle first:
two_theta	I_rel
29.9	100
35.6	49
42.9	23
47.2	35
49.2	27
56.9	16
58.7	8
67.3	20
77.0	9
86.2	8
87.8	19
89.3	10

```
SmSn12Rh4
1.0
-4.718 4.718 4.718
4.718 -4.718 4.718
4.718 4.718 -4.718
Sm Sn Rh
1 12 4
Direct
0.000 0.000 0.000 Sm
0.161 0.338 0.499 Sn
0.161 0.662 0.823 Sn
0.177 0.839 0.338 Sn
0.338 0.177 0.839 Sn
0.338 0.499 0.161 Sn
0.499 0.161 0.338 Sn
0.501 0.839 0.662 Sn
0.662 0.501 0.839 Sn
0.662 0.823 0.161 Sn
0.823 0.161 0.662 Sn
0.839 0.338 0.177 Sn
0.839 0.662 0.501 Sn
0.000 0.000 0.500 Rh
0.000 0.500 0.000 Rh
0.500 0.000 0.000 Rh
0.500 0.500 0.500 Rh
```

***

Record 3
# ZnCdAs
Calculated PXRD pattern, CuKα. Input: a structure optimized by DFT (GGA-PBE).
Lines closer than 0.1° are merged.

Principal peaks in the range 2θ = 15–90°, low angle first:
two_theta	I_rel
28.4	100
34.2	50
34.4	24
39.9	10
41.9	10
44.2	81
44.7	15
44.9	29
53.4	11
57.2	10
74.9	10
81.3	13

```
ZnCdAs
1.0
3.549 -2.049 0.000
3.549 2.049 0.000
-2.317 0.000 9.031
Zn Cd As
2 2 2
Direct
0.200 0.200 0.094 Zn
0.800 0.800 0.906 Zn
0.369 0.369 0.607 Cd
0.631 0.631 0.393 Cd
0.099 0.099 0.803 As
0.901 0.901 0.197 As
```

***

Record 4
# LiCd2Hg7
Calculated PXRD pattern, CuKα. Input: a structure optimized by DFT (GGA-PBE).
Lines closer than 0.1° are merged.

Principal peaks in the range 2θ = 15–90°, low angle first:
two_theta	I_rel
21.3	11
25.5	68
29.9	30
35.3	96
37.3	100
45.7	15
52.3	31
60.4	13
66.0	31
67.3	18
77.8	11
79.6	12

```
LiCd2Hg7
1.0
4.819 0.000 0.000
Clearly defining what the output should be and what the quality expectation of the end users are, means that not only do you have guidance on what needs to be produced but you also have guidance as to what should be left out (the scope), the level of quality that is expected and also who is responsible for quality checking specific elements of the work. Translation projects often suffer from a lack of clear direction at the front end and are almost always process focused (i.e.we translate then we proof-read etc) rather than considering what the end results need to be. I have worked in some PRINCE2 environments where product libraries have been used by translators and this has been really useful. In essence a product library is a reusable brief/description that can be used to create a product. Having a high level of detail available on what was used to create English content (for example) can really help in communicating the requirements to your translators when they are producing their translations.
2. Use of work packages
Many LSP’s will use purchase orders accompanied with a email description to communicate the requirements of what is needed to their translation teams. This might be as simple as ‘translate x into y’ and for small simple projects, perhaps this is all that is needed. However by using detailed work packages (which detail the requirements of what's needed, key dates and query reporting) it helps communicate two things to the translators and teams working on the project. Firstly it provides guidance and details of exactly what is required, when it’s required and any allowable tolerances. Secondly it also shows the translators that there is a level of professionalism and commitment to providing quality that goes beyond simply “please translate this into that”. Translators are usually really grateful that an agency has made the effort to find out specifics about the source material and what is needed in the target translation.
I’ve used a templated form fillable PDF in the past for creating work packages and sent copies of them for client approval and also ensured that everyone working on the project (client, PM, translators etc) signs a copy of it.
3. Clearly defined roles & responsibilities
**Next to the text, the page also holds records of crystals**
+++
For TlTe, DFT lattice parameters and positions (PBE) gives the calculated powder XRD pattern in this record (Cu Kα, 1.54184 Å).
Neutral-atom scattering factors, no anomalous dispersion.

Atomic structure:
abc: 9.7881 9.7881 9.7881
angles: 95.99 95.99 142.31
Fractional positions:
1 Tl 0.0798 0.7716 0.8514
2 Tl 0.2284 0.0798 0.3082
3 Tl 0.2716 0.5798 0.8514
4 Tl 0.4202 0.2716 0.6918
5 Tl 0.5798 0.7284 0.3082
6 Tl 0.7284 0.4202 0.1486
7 Tl 0.7716 0.9202 0.6918
8 Tl 0.9202 0.2284 0.1486
9 Te 0.0000 0.5000 0.5000
10 Te 0.1631 0.3369 0.5000
11 Te 0.2500 0.2500 0.0000
12 Te 0.3369 0.8369 0.1738
13 Te 0.5000 0.0000 0.5000
14 Te 0.6631 0.1631 0.8262
15 Te 0.7500 0.7500 0.0000
16 Te 0.8369 0.6631 0.5000

Top 10 peaks for 10° ≤ 2θ ≤ 80°, sorted by position:
2θ (°)  I/Imax
28.23  41
28.33  55
30.52  54
31.50  100
39.70  20
40.85  15
42.05  18
52.07  22
57.67  28
62.31  13

---

For PrTiTe2, DFT lattice parameters and positions (PBE) gives the calculated powder XRD pattern in this record (Cu Kα, 1.54184 Å).
Neutral-atom scattering factors, no anomalous dispersion.

Atomic structure:
abc: 3.8280 3.8280 29.4155
angles: 90.00 90.00 120.00
Fractional positions:
1 Pr 0.0000 0.0000 0.0000
2 Pr 0.3333 0.6667 0.6667
3 Pr 0.6667 0.3333 0.3333
4 Ti 0.0000 0.0000 0.5000
5 Ti 0.3333 0.6667 0.1667
6 Ti 0.6667 0.3333 0.8333
7 Te 0.0000 0.0000 0.1085
8 Te 0.0000 0.0000 0.8915
9 Te 0.3333 0.6667 0.5582
10 Te 0.3333 0.6667 0.7752
11 Te 0.6667 0.3333 0.2248
12 Te 0.6667 0.3333 0.4418

Top 10 peaks for 10° ≤ 2θ ≤ 80°, sorted by position:
2θ (°)  I/Imax
27.07  100
27.29  46
27.58  68
30.96  18
36.49  70
41.02  65
47.50  50
55.65  38
64.53  16
76.68  22

----------

# 1
# PmCd6Hg4
Computed powder diffractogram, Cu Ka. Input: a crystal structure in Alexandria, relaxed with PBE.
Peak positions follow from Bragg's law for the DFT cell and can differ from measured ones.

```
data_PmCd6Hg4
_cell_length_a 9.5739
_cell_length_b 9.5739
_cell_length_c 3.4385
_cell_angle_alpha 90.00
_cell_angle_beta 90.00
_cell_angle_gamma 120.00
_space_group_name_H-M_alt 'P -6'
_space_group_IT_number 174
_space_group_name_Hall 'P -6'
loop_
_atom_site_label
_atom_site_type_symbol
_atom_site_fract_x
_atom_site_fract_y
_atom_site_fract_z
Pm1 Pm 0.0000 0.0000 0.0000
Cd1 Cd 0.1096 0.5263 0.0000
Cd2 Cd 0.3763 0.1347 0.5000
Hg1 Hg 0.1080 0.7801 0.5000
Hg2 Hg 0.6667 0.3333 0.0000
```

Principal peaks in the range 2θ = 10–90°, in order of rising 2θ:
2θ/deg, I_rel
21.43, 34
28.48, 49
32.05, 92
33.87, 63
37.58, 44
38.88, 100
39.17, 58
47.57, 34
64.37, 28
68.69, 32


# 2
# Pm4Cd3Hg5
Computed powder diffractogram, Cu Ka. Input: a crystal structure in Alexandria, relaxed with PBE.
Peak positions follow from Bragg's law for the DFT cell and can differ from measured ones.

```
data_Pm4Cd3Hg5
_cell_length_a 12.955
_cell_length_b 6.129
_cell_length_c 8.687
_cell_angle_alpha 90.00
_cell_angle_beta 95.90
_cell_angle_gamma 90.00
_space_group_name_H-M_alt 'C 1 2/m 1'
_space_group_IT_number 12
_space_group_name_Hall '-C 2y'
+++
Knowing who is responsible for what in a translation project is critical. One of the key decisions to make when setting up a PRINCE2 project (or any project for that matter) is deciding who is going to take on what role and with regards to translation it is specifically important to confirm who is responsible for quality control and assurance. Projects that do not establish (and share with the translation team) who is going to review and ‘test’ the translation and more importantly how they are going to test it (specific methods etc) are destined to not meet expectations. When I’ve worked with clients in PRINCE2 environments managing translation workflows it’s normally been as a team manager. From the start I would always ask who is managing quality control’ (is it in country review, group testing etc) and how (what methods) will they be doing this. If appropriate establish a relationship with this quality control person/group as they will likely be the determining factor behind if the project is a success or a failure.
4. Manage by Stages
Translation projects lend themselves to being broken down into stages and the technical processes that make up a typical translation workflow can fit nicely into PRINCE2 management stages. PRINCE2 plans each proceeding stage towards the end of the current stage and this can really help especially in terms of planning and replanning the issues that can occur in translation projects (late delivery, technical issues etc). If any of these issues fall outside the tolerance that is acceptable then guidance is provided on what to do and who to contact.
For more information on PRINCE2 and the use of the methodology to manage translation projects contact the author now.